Chapter 7

"Go Enyo!" shouted Max. 

It had been two weeks since she had transferred to the school. She was doing excellent. Enyo was smart, athletic, witty, and pretty. He blushed. A lot of boys liked her. A lot of them hated him for being her friend. 

Now, in PE class, Valerie had challenged Enyo to another competition… again. Valerie was really annoying when it came to competitions. They were racing on the track today. Enyo was at least seven meters ahead of Valerie. She smiled, not looking out of breath at all. 

"She's so hot!" said a boy behind Max. 

Max couldn't help but agree. "Loser!" said the person behind him. They kicked him in the back of the head. Max yelped in pain 

He turned around and saw Jack smirking at him. "Excuse me…" he muttered and left the bleachers. 

Max suddenly had the urge to go to the restroom. He walked behind the bleachers and into the boy's bathroom. "Ow," he said, rubbing the back of his head with the palm of his hand. 

When he was done, he walked out the door. A bench was in front of him so he sat down and sighed. "Excuse me," someone said. 

Max turned around and saw someone looking at him The man's face was half scarred and Max flinched from looking at him. The man didn't seem bothered, "Excuse me, I'm looking for… Enyo? Do you know her?"

Max looked at him "You know Enyo?"

"Yeah," said the man, he held out his hand to shake, "I'm Hemlock, her older brother."

Max shook his hand, "I'm Max."

(Inserted here: data records)
********
31
Properties=species:S:1:pos:R:3 method="wB97M-V/def2-TZVPD" largest_force_ev_per_a=3.350 energy_ev=-24515.0164 homo_lumo_gap_ev=8.164 homo_ev=-7.510 relative_energy_kcal_mol=55.9 smiles="N=C=Pc1ccccc1.C1=CCCCC1"
N 3.68065 2.24992 -1.38399
C 3.28562 1.77093 -0.36797
P 2.45201 1.40558 1.04680
C 2.31213 -0.38698 1.10422
C 2.76853 -1.17147 0.03738
C 2.41922 -2.45600 -0.06879
C 1.95935 -3.10064 1.09377
C 1.47535 -2.36883 2.19195
C 1.59751 -0.97964 2.16977
H 4.48117 2.64843 -1.82824
H 3.32081 -0.81971 -0.81214
H 2.80510 -2.92350 -1.03489
H 1.81932 -4.15988 1.29679
H 1.05429 -2.67557 3.10698
H 1.12949 -0.51166 3.09197
C -1.71743 1.19024 1.18118
C -1.63295 2.30241 0.45826
C -1.42919 2.17968 -1.04629
C -1.94990 0.81511 -1.56820
C -1.02733 -0.17131 -0.84113
C -1.68009 -0.17631 0.58242
H -1.86567 1.05432 2.32689
H -1.63430 3.34071 0.98220
H -0.39303 2.27876 -1.44300
H -1.94962 3.14804 -1.43318
H -1.88923 0.98421 -2.59066
H -2.90599 0.41921 -1.34349
H -1.10066 -1.20626 -1.13428
H 0.00180 0.05791 -0.55957
H -2.73748 -0.53908 0.56975
H -1.22748 -1.07467 1.12983

=====

26
Properties=species:S:1:pos:R:3 method="wB97M-V/def2-TZVPD" largest_force_ev_per_a=5.564 energy_ev=-82137.0189 charge=+2 homo_lumo_gap_ev=6.636 homo_ev=-16.088 relative_energy_kcal_mol=30.3
Zn 0.43937 -1.08960 -1.36112
C 1.10399 -3.03960 -1.98917
O 1.84091 -3.91210 -1.80870
C -0.67963 -0.29496 -3.75966
O -0.79438 -0.45965 -4.88457
C 1.77747 0.56739 -1.91240
O 2.75546 1.11022 -2.17942
C -2.01539 -1.11128 -1.01214
O -3.13522 -1.35529 -0.88488
C -1.24804 2.95685 -0.55029
H -1.96293 2.61752 0.21359
H -0.31350 3.42479 -0.20927
C -1.49861 2.75247 -1.84913
H -0.73344 2.94178 -2.60390
H -2.39588 2.21358 -2.15749
Cl -0.48716 -3.23892 3.25726
C 0.14723 -1.74125 2.73842
C 0.78183 -0.86251 3.61214
C 1.23727 0.32994 3.05974
C 1.08332 0.61868 1.70017
N 0.62749 -0.34117 0.85074
C 0.03898 -1.45505 1.36030
H 0.91560 -1.13405 4.66329
H 1.72030 1.05388 3.68649
H 1.32312 1.61929 1.30785
H -0.52817 -2.17096 0.71216

=====

23
Properties=species:S:1:pos:R:3 method="wB97M-V/def2-TZVPD" largest_force_ev_per_a=5.022 energy_ev=-12487.4050 charge=+1 homo_lumo_gap_ev=8.798 homo_ev=-13.022 relative_energy_kcal_mol=106.8 smiles="CC(C)(C)N1C=CO[NH+]=C1"
C 1.38282 -1.44775 -0.28276
C 0.56304 -0.19808 -0.75967
C -0.25995 -0.42001 -2.02311
C 1.48042 1.01732 -1.01862
N -0.29284 0.15454 0.39803
C 0.19548 0.71258 1.61343
C -0.64126 0.97252 2.63556
O -1.99372 0.66381 2.60486
N -2.46851 0.22655 1.27170
C -1.54325 -0.16159 0.40235
H 1.71042 -2.02607 -1.10719
H 2.26618 -1.28343 0.25923
H 0.66901 -2.12382 0.30224
H -1.14531 0.20802 -2.17193
H -0.64621 -1.50369 -2.28265
H 0.37148 -0.21413 -2.78501
H 2.33857 0.64092 -1.47271
H 0.88829 1.72055 -1.69362
H 1.70982 1.63076 -0.10480
H 1.21290 1.06812 1.71926
H -0.50031 1.25606 3.58912
H -3.25177 -0.34526 1.39215
H -2.04530 -0.54794 -0.48586

=====

58
********
(End of the data records)

"Oh!" said Hemlock, "Perfect, Enyo's told me a lot about you…"

Max narrowed his eyes. Hemlock looked nothing like Enyo, except for his eyes which were red, just slightly a different shade. "Nice to meet you. I can take you to Enyo right now! She's at the track."

Next to the text, the page also holds records of molecules:
<<<
No. 1
Computed, not measured: a 11-piece molecular cluster, C47H124N14O17 overall at a distorted geometry, with ωB97M-V with the def2-TZVPD basis set.

Values from the calculation:
E_tot: -3910.3337 Ha
Gap between HOMO and LUMO: 8.2836 eV
Largest force on an atom: 6.87 eV/A
Net charge: 0
Structure (SMILES): COC[C@H](C)N.COC[C@H](C)N.COCCNCCOC.COCCNCCOC.COCCNCCOC.COCCNCCOC.COCCNCCOC.COCCNCCOC.NC(N)=O.NC(N)=O.NC(N)=O
Energy above the lowest of the compared OMol25 structures with the same formula, charge and spin: 146.8 kcal/mol

Last column: Mulliken charge in e.
Atoms and positions in Å:
C 37.918 -2.008 10.958  -1.323
C 39.155 -2.776 11.177  0.420
C 40.226 -2.044 12.052  -0.524
O 40.571 -0.723 11.649  -0.332
C 41.674 -0.304 12.419  -0.741
N 38.822 -4.103 11.706  -0.622
H 38.092 -1.042 10.484  0.343
H 37.476 -1.731 11.915  0.208
H 37.256 -2.642 10.368  0.334
H 39.568 -2.976 10.188  0.340
H 41.094 -2.688 12.197  0.338
H 39.708 -1.974 13.009  0.240
H 41.426 -0.337 13.480  0.306
H 41.867 0.742 12.180  0.265
H 42.571 -0.889 12.216  0.299
H 39.581 -4.759 11.588  0.261
H 38.632 -4.040 12.696  0.198
C 36.145 -0.631 17.137  -1.510
C 35.788 -2.034 16.702  0.642
C 36.414 -3.132 17.479  -0.753
O 37.761 -3.354 16.973  -0.270
C 38.445 -4.391 17.648  -0.730
N 34.361 -2.077 16.440  -0.637
H 35.735 0.042 16.384  0.401
H 37.156 -0.225 17.184  0.335
H 35.682 -0.487 18.112  0.337
H 36.319 -2.057 15.751  0.119
H 35.869 -4.059 17.300  0.405
H 36.348 -2.907 18.543  0.322
H 39.519 -4.308 17.487  0.212
H 38.208 -5.319 17.128  0.301
H 38.250 -4.379 18.720  0.290
H 33.891 -1.751 17.272  0.253
H 34.279 -1.306 15.793  0.263
C 44.007 -13.032 17.937  -0.729
O 43.269 -11.935 18.348  -0.338
C 43.200 -11.508 19.741  -0.429
C 42.832 -10.002 19.752  -0.876
N 44.040 -9.161 19.935  -0.178
C 44.859 -9.221 18.741  -0.494
C 46.344 -8.744 19.149  -0.630
O 46.947 -9.827 19.903  -0.271
C 48.255 -9.399 20.310  -0.815
H 43.702 -13.367 16.945  0.252
H 43.760 -13.808 18.660  0.321
H 45.096 -12.986 17.942  0.271
H 44.127 -11.753 20.258  0.330
H 42.443 -12.135 20.213  0.484
H 42.139 -9.865 20.582  0.314
H 42.219 -9.788 18.877  0.373
H 44.597 -9.588 20.661  0.152
H 44.422 -8.485 18.065  0.409
H 44.911 -10.138 18.154  0.204
H 46.302 -7.824 19.732  0.289
H 46.910 -8.553 18.237  0.472
H 48.754 -10.121 20.956  0.262
H 48.286 -8.400 20.745  0.303
H 48.895 -9.319 19.431  0.335
C 32.054 0.981 12.350  -0.799
O 30.993 0.004 12.683  -0.287
C 30.407 -0.567 11.542  -0.607
C 29.794 -1.949 11.986  -0.742
N 28.359 -1.857 12.166  -0.334
C 27.913 -3.125 12.790  -0.587
C 26.401 -3.075 12.795  -0.643
O 25.855 -3.221 11.477  -0.318
C 24.542 -3.631 11.571  -0.751
H 32.094 1.803 13.064  0.220
H 31.934 1.418 11.358  0.381
H 33.018 0.487 12.468  0.286
H 31.213 -0.752 10.831  0.447
H 29.683 0.009 10.966  0.297
H 30.290 -2.312 12.886  0.383
H 29.972 -2.615 11.141  0.415
H 27.895 -1.725 11.278  0.243
H 28.452 -3.195 13.735  0.431
H 28.217 -3.943 12.136  0.307
H 26.065 -2.119 13.195  0.325
H 26.035 -3.858 13.459  0.465
>>>
The text goes on:

"Actually…" said Hemlock as Max turned around to walk to the track, "I'm here for you."

"Wha-" A hand covered his mouth and Max breathed in an unfamiliar smell. 

His head spun and his throat burned. His eyes closed and the darkness ate him. 

Enyo ran at a job. Or, her pace of a jog, which was a normal human sprint. She smiled at the wind on her face as she crossed the finish line and slowed to a walk. A few seconds later, Valerie crossed too. Valerie panted, her hands on her knees, "Good game," she said. 

Enyo smiled. For the past two weeks, Valerie had challenged her to competitions ranging from math to athletics. For a normal human, Valerie was very talented. Unfortunately, Enyo was not normal. Valerie had made it her personal goal to defeat Enyo in some type of competition.

Enyo liked it. She was glad she could help such a talented girl improve. All Valerie needed now though, was a nicer attitude, which she couldn't really change. Enyo looked up at where Max was sitting before. 

The text is interrupted by calculated molecules:
~~~
Density functional theory data (ωB97M-V/def2-TZVPD) for a 2-piece molecular cluster, C4H12N2O2 overall at a distorted geometry.

Atoms and positions in Å:
O (1.9966, 0.9367, 0.7558)
O (1.7742, -0.6948, -2.3563)
N (-0.7771, -0.1145, -0.0263)
N (-0.9105, 0.7801, -2.2396)
C (1.2400, 0.2330, 1.5208)
C (-0.7188, -1.1470, 2.1561)
C (-0.2634, 0.0768, 1.3208)
C (-0.7045, 1.0797, -0.8495)
H (-1.4561, 1.7978, -0.5055)
H (1.6167, 0.0735, -2.9197)
H (-1.8660, 0.5845, -2.4978)
H (-0.3534, 0.0211, -2.5972)
H (1.5108, -0.2838, 2.4604)
H (-1.0055, -1.0576, 3.2018)
H (0.2429, 1.6139, -0.7201)
H (-0.7459, 0.9154, 1.8732)
H (-1.6092, -1.5649, 1.6742)
H (2.4211, -0.3488, -1.7312)
H (-0.3768, -0.9425, -0.4462)
H (-0.0151, -1.9588, 1.9264)

Spin multiplicity: 2
LUMO level (alpha / beta), eV: 3.95 / 3.92
<S²>: 0.753
E, hartree: -419.5363
Total charge: -1
ΔE to the lowest compared entry with this formula, charge and spin, kcal/mol: 44.9

Need the Löwdin charges? In units of e they are: O -0.244; O -0.077; N -0.046; N -0.009; C -0.411; C -0.140; C -0.461; C -0.351; H 0.105; H 0.027; H 0.047; H 0.022; H 0.046; H 0.051; H 0.093; H 0.117; H 0.046; H 0.036; H 0.097; H 0.052

***

Density functional theory data (ωB97M-V/def2-TZVPD) for a 3-piece molecular cluster, C4H12N2O2 overall.

Atoms and positions in Å:
O (1.9145, -1.5866, 1.5301)
O (-0.8243, -2.0800, 1.0337)
N (2.6476, 0.4120, 0.7923)
N (1.5787, -0.9418, -0.7073)
C (-1.2525, -1.0020, 1.3234)
C (-1.3536, 0.5417, -1.5490)
C (2.0220, -0.7546, 0.4602)
C (-1.5704, 1.8607, -0.8226)
H (-0.7826, 2.5689, -1.0869)
H (3.2283, 0.3782, 1.6130)
H (1.0800, -1.8162, -0.8377)
H (-2.1241, -0.1764, -1.2941)
H (2.9871, 0.9513, 0.0150)
H (-0.3793, 0.1231, -1.3040)
H (-2.3218, -0.7521, 1.2472)
H (-2.5292, 2.2984, -1.0984)
H (1.2329, -2.2562, 1.3589)
H (-1.3900, 0.7002, -2.6257)
H (-1.5553, 1.7217, 0.2581)
H (-0.6079, -0.1905, 1.6938)

Spin multiplicity: 1
LUMO level, eV: 0.59
E, hartree: -419.5784
Total charge: 0
ΔE to the lowest compared entry with this formula, charge and spin, kcal/mol: 44.0

Need the Löwdin charges? In units of e they are: O 0.050; O -0.007; N 0.135; N 0.115; C -0.133; C -0.176; C -0.645; C -0.165; H 0.066; H 0.095; H 0.052; H 0.053; H 0.098; H 0.023; H 0.090; H 0.061; H 0.086; H 0.067; H 0.044; H 0.092

***

Density functional theory data (ωB97M-V/def2-TZVPD) for a 2-piece molecular cluster, C4H12N2O2 overall at a distorted geometry.

Atoms and positions in Å:
O (2.9711, -0.5925, 1.5802)
O (0.4670, -1.4234, 0.5201)
N (-0.8441, 0.7297, 1.6027)
N (1.5143, -0.5285, -1.2390)
C (-1.0794, 1.4501, 0.4227)
C (0.4263, -0.8776, -0.6150)
C (-0.9327, -0.6148, -1.2114)
C (-1.7624, 0.5457, -0.7315)
H (2.0833, -1.0165, 1.4369)
H (-0.9969, -0.2805, 1.4921)
H (2.3772, -0.7039, -0.7388)
H (-1.9549, 1.3226, -1.5892)
H (3.2803, -0.9998, 2.3844)
H (0.1136, 0.8733, 1.9566)
H (1.5794, -0.0470, -2.2150)
H (-0.1918, 1.7843, -0.0957)
H (-1.0040, -0.6733, -2.2693)
H (-2.6971, 0.1722, -0.3017)
H (-1.7626, 2.3811, 0.5759)
~~~

She frowned, he was gone. She walked up to the bleachers. Jack was in the seat where Max had been before, "Hey Jack, you know where Max went?"

Jack shrugged, "Your loser boyfriend went to the bathroom."

"Thanks!" grinned Enyo. 

She ran to the boy's bathroom and knocked. "Max, you in there?"

No reply. She knocked again and was met with the same answer. She turned around. There was a bench in front of the bathroom. She walked over and sat down. 

Enyo frowned and stood up suddenly. There was a familiar scent that wafted in the air. She wrinkled her nose and sniffed. Poison #3, specifically, Melatonin. One of Hemlock's processed specialties.